Entries.
- - -
No. 1
{"formula": "C2H3F2I", "method": "wB97M-V/def2-TZVPD", "lumo_ha": [0.0267, -0.1382], "s2": 2.005, "molar_mass_da": 191.946, "e_homo_ev": [-6.15, -10.51], "multiplicity": 3, "species": ["C", "C", "F", "F", "I", "H", "H", "H"], "coordinates": [[-0.77918, 0.32909, -0.03269], [0.52839, -0.28851, 0.04960], [0.57329, -1.22252, -1.11028], [0.70800, -0.99104, 1.12934], [2.39128, 0.93426, 0.10142], [-1.18284, 0.49110, 0.98663], [-0.85352, 1.22502, -0.77333], [-1.38542, -0.47740, -0.35068]]}


No. 2
{"formula": "C23H35N2O2P2Sn", "method": "wB97M-V/def2-TZVPD", "lumo_ha": -0.0905, "charge": 1, "molar_mass_da": 552.204, "e_homo_ev": -9.48, "species": ["C", "C", "N", "C", "C", "C", "C", "P", "Sn", "P", "C", "O", "O", "H", "H", "H", "C", "C", "H", "H", "H", "H", "C", "C", "H", "H", "H", "H", "H", "H", "H", "H", "H", "H", "H", "H", "H", "H", "H", "H", "H", "H", "C", "C", "C", "C", "C", "C", "N", "C", "C", "C", "C", "C", "C", "H", "H", "H", "H", "H", "H", "H", "H", "H", "H"], "coordinates": [[-0.82518, 1.25859, -4.80130], [-0.81803, 0.74079, -3.49686], [0.02716, 1.23205, -2.57067], [0.80413, 2.29418, -2.83893], [0.78992, 2.89973, -4.10178], [-0.01696, 2.35693, -5.10617], [-1.75576, -0.39815, -3.13796], [-2.20917, -0.51100, -1.36692], [-0.10352, 0.35563, -0.18647], [2.01688, 1.77349, -0.32626], [1.67812, 2.89688, -1.73434], [-0.67494, -2.97446, -3.66026], [0.09402, -3.38309, -1.04354], [-1.49108, 0.79994, -5.53586], [1.42524, 3.77464, -4.26676], [-0.01430, 2.78228, -6.11187], [-3.64289, 0.56427, -1.13257], [-2.72219, -2.17102, -0.90617], [2.65489, 3.19516, -2.15401], [1.19457, 3.80615, -1.33813], [-1.31509, -1.38297, -3.47211], [-2.71080, -0.26599, -3.67224], [2.28119, 2.66361, 1.22368], [3.55683, 0.95684, -0.79039], [0.49073, -2.48703, -0.84763], [0.33861, -3.95511, -0.29122], [-0.27839, -3.27220, -2.79922], [0.04425, -2.97182, -4.30972], [-0.94565, 1.88008, 0.10978], [0.83705, -0.99857, -0.80606], [-4.47546, 0.15399, -1.72548], [-3.93160, 0.58570, -0.07040], [-3.42318, 1.58804, -1.46732], [-3.55681, -2.47859, -1.55073], [-1.88555, -2.88098, -0.99983], [-3.05949, -2.16818, 0.13995], [4.35307, 1.71531, -0.83021], [3.81198, 0.18964, -0.04620], [3.45164, 0.48580, -1.77789], [3.13494, 3.34840, 1.11675], [1.38621, 3.23180, 1.51426], [2.49923, 1.94104, 2.02538], [-1.15447, 2.43184, 4.80940], [-1.93710, 2.25134, 3.66420], [-1.61783, 1.26355, 2.74326], [-0.47236, 0.45297, 2.93607], [0.30358, 0.63409, 4.10281], [-0.02526, 1.63198, 5.01494], [-0.06304, -0.43617, 1.93742], [0.50363, -1.67301, 2.26123], [1.68637, -2.11353, 1.62686], [2.23910, -3.34304, 1.96384], [1.62816, -4.15563, 2.92055], [0.42793, -3.75253, 3.51561], [-0.13213, -2.52082, 3.19347], [-1.42585, 3.19668, 5.53492], [-2.80968, 2.88174, 3.48988], [-2.21793, 1.10315, 1.84364], [1.17866, -0.00176, 4.25020], [0.60444, 1.77186, 5.89141], [2.16417, -1.44773, 0.90189], [3.16888, -3.65147, 1.48545], [2.08790, -5.10559, 3.19286], [-0.07532, -4.39821, 4.23365], [-1.07649, -2.19149, 3.63009]]}


No. 3
{"formula": "C4H7NO", "method": "wB97M-V/def2-TZVPD", "lumo_ha": 0.0293, "molar_mass_da": 85.106, "e_homo_ev": -8.42, "smiles": "C=N/C=C(\\C)O", "species": ["C", "N", "C", "C", "C", "O", "H", "H", "H", "H", "H", "H", "H"], "coordinates": [[1.68096, -0.63876, -1.19613], [1.88556, -0.52872, 0.03608], [0.88924, 0.09365, 0.78783], [-0.44024, 0.38626, 0.67127], [-1.40455, -0.12728, -0.38576], [-1.21041, 1.11779, 1.51662], [2.44218, -1.11260, -1.76037], [0.81802, -0.23082, -1.87529], [1.29566, 0.41213, 1.74622], [-1.84938, 0.76005, -0.97237], [-2.38913, -0.51424, 0.01092], [-0.98364, -0.88954, -0.96704], [-0.73428, 1.27208, 2.38803]]}


No. 4
- - -
Brief.
What is needed: say how many lines of the contents further up hold the word "charge", as a bare number.
Done.
1